What to do >
Next, start at the top of the data underneath and give back each line, ending with the one that has "No. 160".

Entries >
/*
# K2FeNi GGA-PBE optimized geometry
data_K2FeNi
_cell_length_a 4.0835
_cell_length_b 4.3586
_cell_length_c 5.3047
_cell_angle_alpha 90.00
_cell_angle_beta 90.00
_cell_angle_gamma 90.00
_space_group_name_H-M_alt 'P m m m'
_space_group_IT_number 47
_space_group_name_Hall '-P 2 2'
loop_
_atom_site_label
_atom_site_fract_x
_atom_site_fract_y
_atom_site_fract_z
K1 0.0000 0.0000 0.0000
K2 0.5000 0.5000 0.0000
Fe1 0.0000 0.5000 0.5000
Ni1 0.5000 0.0000 0.5000
# - E_tot (eV per cell) = -11.83
# - energy of formation (eV/f.u.) = 4.61
# - DOS(E_F) (states/eV/f.u.) = 3.52

~~~~~

Entry 1:
{
  "formula": "RbSb2TePd",
  "functional": "PBE-GGA",
  "state": "relaxed",
  "cell": [[5.2799, 0.0000, 0.0000], [0.0000, 5.2799, 0.0000], [0.0000, 0.0000, 5.8369]],
  "species": ["Pd", "Rb", "Sb", "Sb", "Te"],
  "fractional_positions": [[0.0000, 0.0000, 0.0000], [0.5000, 0.5000, 0.5000], [0.0000, 0.5000, 0.0000], [0.5000, 0.0000, 0.0000], [0.0000, 0.0000, 0.5000]],
  "volume_a3_per_cell": 162.7,
  "e_above_lowest_polymorph_ev_per_fu": 0.00,
  "space_group": "No. 123"
}



Entry 2:
{
  "formula": "RbSb2TePd",
  "functional": "PBE-GGA",
  "state": "relaxed",
  "cell": [[-1.2447, -3.0221, 5.0235], [5.7886, 0.1792, 1.5421], [-0.9451, 5.2684, 2.9353]],
  "species": ["Te", "Sb", "Sb", "Rb", "Pd"],
  "fractional_positions": [[0.0000, 0.0000, 0.5000], [0.0000, 0.5000, 0.0000], [0.5000, 0.0000, 0.0000], [0.0000, 0.0000, 0.0000], [0.5000, 0.5000, 0.5000]],
  "volume_a3_per_cell": 219.3,
  "e_above_lowest_polymorph_ev_per_fu": 8.40,
  "space_group": "No. 123"
}



Entry 3:
{
  "formula": "RbTl2SbPd",
  "functional": "PBE-GGA",
  "state": "relaxed",
  "cell": [[5.5085, 0.0000, 0.0000], [0.0000, 5.5085, 0.0000], [0.0000, 0.0000, 5.4619]],
  "species": ["Tl", "Tl", "Pd", "Rb", "Sb"],
  "fractional_positions": [[0.5000, 0.0000, 0.0000], [0.0000, 0.5000, 0.0000], [0.0000, 0.0000, 0.0000], [0.5000, 0.5000, 0.5000], [0.0000, 0.0000, 0.5000]],
  "total_energy_ev_per_atom": -3.117,
  "volume_a3_per_cell": 165.7,
  "space_group": "No. 123"
}



Entry 4:
{
  "formula": "Rb3Tl4Sb2Pd2",
  "functional": "PBE-GGA",
  "state": "relaxed",
  "cell": [[4.8012, 0.0000, 0.0000], [-2.4006, 4.1580, 0.0000], [0.0000, 0.0000, 20.1678]],
  "species": ["Rb", "Rb", "Rb", "Sb", "Sb", "Pd", "Pd", "Tl", "Tl", "Tl", "Tl"],
  "fractional_positions": [[0.0000, 0.0000, 0.6999], [0.0000, 0.0000, 0.3001], [0.0000, 0.0000, 0.0000], [0.3333, 0.6667, 0.1729], [0.6667, 0.3333, 0.8271], [0.3333, 0.6667, 0.5781], [0.6667, 0.3333, 0.4219], [0.3333, 0.6667, 0.4386], [0.3333, 0.6667, 0.8802], [0.6667, 0.3333, 0.1198], [0.6667, 0.3333, 0.5614]],
  "total_energy_ev_per_atom": -2.915,
  "volume_a3_per_cell": 402.6,
  "space_group": "No. 164"
}



Entry 5:
{
  "formula": "RbTlSbPd",
  "functional": "PBE-GGA",
  "state": "relaxed",
  "cell": [[4.5619, 0.0000, 0.0000], [2.2809, 3.9507, 0.0000], [2.2809, 1.3169, 7.2611]],
  "species": ["Rb", "Pd", "Sb", "Tl"],
  "fractional_positions": [[0.8140, 0.8140, 0.5579], [0.6211, 0.6211, 0.1368], [0.2658, 0.2658, 0.2026], [0.0250, 0.0250, 0.9251]],
  "total_energy_ev_per_atom": -3.506,
  "volume_a3_per_cell": 130.9,
  "space_group": "No. 160"
}



Entry 6:
{
  "formula": "RbYSb2Pd",
  "functional": "PBE-GGA",
  "state": "relaxed",
  "cell": [[-5.6725, -0.5291, -1.4198], [0.5158, -5.3344, -0.0728], [-1.4059, -0.2137, 5.6966]],
  "species": ["Rb", "Pd", "Y", "Sb", "Sb"],
  "fractional_positions": [[0.0000, 0.0000, 0.0000], [0.5000, 0.5000, 0.5000], [0.0000, 0.5000, 0.0000], [0.0000, 0.0000, 0.5000], [0.5000, 0.0000, 0.0000]],
  "total_energy_ev_per_atom": -2.638,
  "volume_a3_per_cell": 184.8,
  "space_group": "No. 123"
}



Entry 7:
{
  "formula": "Rb3ScPd",
  "functional": "PBE-GGA",
  "state": "relaxed",
  "cell": [[6.5066, 0.0000, 0.0000], [0.0000, 6.5066, 0.0000], [0.0000, 0.0000, 6.5066]],
  "species": ["Rb", "Rb", "Rb", "Pd", "Sc"],
*/

Outcome >
# K2FeNi GGA-PBE optimized geometry
data_K2FeNi
_cell_length_a 4.0835
_cell_length_b 4.3586
_cell_length_c 5.3047
_cell_angle_alpha 90.00
_cell_angle_beta 90.00
_cell_angle_gamma 90.00
_space_group_name_H-M_alt 'P m m m'
_space_group_IT_number 47
_space_group_name_Hall '-P 2 2'
loop_
_atom_site_label
_atom_site_fract_x
_atom_site_fract_y
_atom_site_fract_z
K1 0.0000 0.0000 0.0000
K2 0.5000 0.5000 0.0000
Fe1 0.0000 0.5000 0.5000
Ni1 0.5000 0.0000 0.5000
# - E_tot (eV per cell) = -11.83
# - energy of formation (eV/f.u.) = 4.61
# - DOS(E_F) (states/eV/f.u.) = 3.52

~~~~~

Entry 1:
{
  "formula": "RbSb2TePd",
  "functional": "PBE-GGA",
  "state": "relaxed",
  "cell": [[5.2799, 0.0000, 0.0000], [0.0000, 5.2799, 0.0000], [0.0000, 0.0000, 5.8369]],
  "species": ["Pd", "Rb", "Sb", "Sb", "Te"],
  "fractional_positions": [[0.0000, 0.0000, 0.0000], [0.5000, 0.5000, 0.5000], [0.0000, 0.5000, 0.0000], [0.5000, 0.0000, 0.0000], [0.0000, 0.0000, 0.5000]],
  "volume_a3_per_cell": 162.7,
  "e_above_lowest_polymorph_ev_per_fu": 0.00,
  "space_group": "No. 123"
}



Entry 2:
{
  "formula": "RbSb2TePd",
  "functional": "PBE-GGA",
  "state": "relaxed",
  "cell": [[-1.2447, -3.0221, 5.0235], [5.7886, 0.1792, 1.5421], [-0.9451, 5.2684, 2.9353]],
  "species": ["Te", "Sb", "Sb", "Rb", "Pd"],
  "fractional_positions": [[0.0000, 0.0000, 0.5000], [0.0000, 0.5000, 0.0000], [0.5000, 0.0000, 0.0000], [0.0000, 0.0000, 0.0000], [0.5000, 0.5000, 0.5000]],
  "volume_a3_per_cell": 219.3,
  "e_above_lowest_polymorph_ev_per_fu": 8.40,
  "space_group": "No. 123"
}



Entry 3:
{
  "formula": "RbTl2SbPd",
  "functional": "PBE-GGA",
  "state": "relaxed",
  "cell": [[5.5085, 0.0000, 0.0000], [0.0000, 5.5085, 0.0000], [0.0000, 0.0000, 5.4619]],
  "species": ["Tl", "Tl", "Pd", "Rb", "Sb"],
  "fractional_positions": [[0.5000, 0.0000, 0.0000], [0.0000, 0.5000, 0.0000], [0.0000, 0.0000, 0.0000], [0.5000, 0.5000, 0.5000], [0.0000, 0.0000, 0.5000]],
  "total_energy_ev_per_atom": -3.117,
  "volume_a3_per_cell": 165.7,
  "space_group": "No. 123"
}



Entry 4:
{
  "formula": "Rb3Tl4Sb2Pd2",
  "functional": "PBE-GGA",
  "state": "relaxed",
  "cell": [[4.8012, 0.0000, 0.0000], [-2.4006, 4.1580, 0.0000], [0.0000, 0.0000, 20.1678]],
  "species": ["Rb", "Rb", "Rb", "Sb", "Sb", "Pd", "Pd", "Tl", "Tl", "Tl", "Tl"],
  "fractional_positions": [[0.0000, 0.0000, 0.6999], [0.0000, 0.0000, 0.3001], [0.0000, 0.0000, 0.0000], [0.3333, 0.6667, 0.1729], [0.6667, 0.3333, 0.8271], [0.3333, 0.6667, 0.5781], [0.6667, 0.3333, 0.4219], [0.3333, 0.6667, 0.4386], [0.3333, 0.6667, 0.8802], [0.6667, 0.3333, 0.1198], [0.6667, 0.3333, 0.5614]],
  "total_energy_ev_per_atom": -2.915,
  "volume_a3_per_cell": 402.6,
  "space_group": "No. 164"
}



Entry 5:
{
  "formula": "RbTlSbPd",
  "functional": "PBE-GGA",
  "state": "relaxed",
  "cell": [[4.5619, 0.0000, 0.0000], [2.2809, 3.9507, 0.0000], [2.2809, 1.3169, 7.2611]],
  "species": ["Rb", "Pd", "Sb", "Tl"],
  "fractional_positions": [[0.8140, 0.8140, 0.5579], [0.6211, 0.6211, 0.1368], [0.2658, 0.2658, 0.2026], [0.0250, 0.0250, 0.9251]],
  "total_energy_ev_per_atom": -3.506,
  "volume_a3_per_cell": 130.9,
  "space_group": "No. 160"